Given >
=====
Entry 1:
GdB4: relaxed, meta-GGA r2SCAN.

Properties
Calculated volume in Å³/cell: 206.10
Calculated formation energy in eV/atom: -0.644
Total moment in μB/cell: 0.00
VASP energy in eV per cell: -304.00

```
data_GdB4
_chemical_formula_sum 'Gd4 B16'
_cell_length_a 4.045
_cell_length_b 7.138
_cell_length_c 7.138
_cell_angle_alpha 90.00
_cell_angle_beta 90.00
_cell_angle_gamma 90.00
_space_group_name_H-M_alt 'P 1'
_space_group_IT_number 1
_space_group_name_Hall 'P 1'
loop_
_atom_site_label
_atom_site_type_symbol
_atom_site_fract_x
_atom_site_fract_y
_atom_site_fract_z
_atom_site_occupancy
Gd1 Gd 0.000 0.317 0.817 1
Gd2 Gd 0.000 0.683 0.183 1
Gd3 Gd 0.000 0.183 0.317 1
Gd4 Gd 0.000 0.817 0.683 1
B1 B 0.797 0.500 0.500 1
B2 B 0.797 0.000 0.000 1
B3 B 0.203 0.500 0.500 1
B4 B 0.203 0.000 0.000 1
B5 B 0.500 0.539 0.675 1
B6 B 0.500 0.461 0.325 1
B7 B 0.500 0.961 0.175 1
B8 B 0.500 0.039 0.825 1
B9 B 0.500 0.675 0.461 1
B10 B 0.500 0.325 0.539 1
B11 B 0.500 0.175 0.039 1
B12 B 0.500 0.825 0.961 1
B13 B 0.500 0.588 0.912 1
B14 B 0.500 0.412 0.088 1
B15 B 0.500 0.912 0.412 1
B16 B 0.500 0.088 0.588 1
```



Entry 2:
ThPt3: relaxed, meta-GGA r2SCAN.

Properties
Calculated volume in Å³/cell: 74.99
Calculated formation energy in eV/atom: -1.140
Total moment in μB/cell: 0.00
VASP energy in eV per cell: -232.50

```
data_ThPt3
_chemical_formula_sum 'Th1 Pt3'
_cell_length_a 4.217
_cell_length_b 4.217
_cell_length_c 4.217
_cell_angle_alpha 90.00
_cell_angle_beta 90.00
_cell_angle_gamma 90.00
_space_group_name_H-M_alt 'P 1'
_space_group_IT_number 1
_space_group_name_Hall 'P 1'
loop_
_atom_site_label
_atom_site_type_symbol
_atom_site_fract_x
_atom_site_fract_y
_atom_site_fract_z
_atom_site_occupancy
Th1 Th 0.000 0.000 0.000 1
Pt1 Pt 0.000 0.500 0.500 1
Pt2 Pt 0.500 0.000 0.500 1
Pt3 Pt 0.500 0.500 0.000 1
```



Entry 3:
EuAg2: relaxed, meta-GGA r2SCAN.

Properties
Calculated volume in Å³/cell: 145.93
Calculated formation energy in eV/atom: -0.309
Total moment in μB/cell: 14.30
VASP energy in eV per cell: -164.32

```
data_EuAg2
_chemical_formula_sum 'Eu2 Ag4'
_cell_length_a 4.774
_cell_length_b 6.034
_cell_length_c 6.034
_cell_angle_alpha 76.17
_cell_angle_beta 66.70
_cell_angle_gamma 66.70
_space_group_name_H-M_alt 'P 1'
_space_group_IT_number 1
_space_group_name_Hall 'P 1'
loop_
_atom_site_label
_atom_site_type_symbol
_atom_site_fract_x
_atom_site_fract_y
_atom_site_fract_z
_atom_site_occupancy
Eu1 Eu 0.456 0.294 0.794 1
Eu2 Eu 0.544 0.706 0.206 1
Ag1 Ag 0.837 0.111 0.216 1
Ag2 Ag 0.163 0.889 0.784 1
Ag3 Ag 0.163 0.284 0.389 1
Ag4 Ag 0.837 0.716 0.611 1
```



Entry 4:
LiCr3O8: relaxed, meta-GGA r2SCAN.

Properties
Calculated volume in Å³/cell: 276.25
Calculated formation energy in eV/atom: -2.013
Total moment in μB/cell: 6.00
VASP energy in eV per cell: -239.08

```
data_LiCr3O8
_chemical_formula_sum 'Li2 Cr6 O16'
_cell_length_a 5.454
_cell_length_b 6.180
_cell_length_c 8.196
_cell_angle_alpha 90.00
_cell_angle_beta 90.00
_cell_angle_gamma 90.00
_space_group_name_H-M_alt 'P 1'
_space_group_IT_number 1
_space_group_name_Hall 'P 1'
loop_
_atom_site_label
_atom_site_type_symbol
_atom_site_fract_x
_atom_site_fract_y
_atom_site_fract_z
_atom_site_occupancy
Li1 Li 0.500 0.998 0.500 1
Li2 Li 0.000 0.499 0.000 1
Cr1 Cr 0.000 0.267 0.354 1
Cr2 Cr 0.000 0.733 0.646 1
Cr3 Cr 0.000 0.000 0.000 1
Cr4 Cr 0.500 0.500 0.500 1
Cr5 Cr 0.500 0.767 0.146 1
Cr6 Cr 0.500 0.233 0.854 1
O1 O 0.500 0.550 0.264 1
O2 O 0.000 0.050 0.236 1
O3 O 0.000 0.950 0.764 1
O4 O 0.500 0.450 0.736 1
O5 O 0.500 0.977 0.257 1
O6 O 0.000 0.477 0.243 1
O7 O 0.000 0.523 0.757 1
O8 O 0.500 0.023 0.743 1
O9 O 0.246 0.770 0.028 1
O10 O 0.754 0.770 0.028 1
O11 O 0.746 0.270 0.472 1
O12 O 0.746 0.730 0.528 1
O13 O 0.254 0.270 0.472 1
O14 O 0.254 0.730 0.528 1
O15 O 0.246 0.230 0.972 1
O16 O 0.754 0.230 0.972 1
```



Entry 5:
EuAl12O19: relaxed, meta-GGA r2SCAN.

Properties
Calculated volume in Å³/cell: 589.05
Calculated formation energy in eV/atom: -3.357
Total moment in μB/cell: 14.00
=====

Assignment >
Please give back the lines further above without altering anything.

Outcome >
Entry 1:
GdB4: relaxed, meta-GGA r2SCAN.

Properties
Calculated volume in Å³/cell: 206.10
Calculated formation energy in eV/atom: -0.644
Total moment in μB/cell: 0.00
VASP energy in eV per cell: -304.00

```
data_GdB4
_chemical_formula_sum 'Gd4 B16'
_cell_length_a 4.045
_cell_length_b 7.138
_cell_length_c 7.138
_cell_angle_alpha 90.00
_cell_angle_beta 90.00
_cell_angle_gamma 90.00
_space_group_name_H-M_alt 'P 1'
_space_group_IT_number 1
_space_group_name_Hall 'P 1'
loop_
_atom_site_label
_atom_site_type_symbol
_atom_site_fract_x
_atom_site_fract_y
_atom_site_fract_z
_atom_site_occupancy
Gd1 Gd 0.000 0.317 0.817 1
Gd2 Gd 0.000 0.683 0.183 1
Gd3 Gd 0.000 0.183 0.317 1
Gd4 Gd 0.000 0.817 0.683 1
B1 B 0.797 0.500 0.500 1
B2 B 0.797 0.000 0.000 1
B3 B 0.203 0.500 0.500 1
B4 B 0.203 0.000 0.000 1
B5 B 0.500 0.539 0.675 1
B6 B 0.500 0.461 0.325 1
B7 B 0.500 0.961 0.175 1
B8 B 0.500 0.039 0.825 1
B9 B 0.500 0.675 0.461 1
B10 B 0.500 0.325 0.539 1
B11 B 0.500 0.175 0.039 1
B12 B 0.500 0.825 0.961 1
B13 B 0.500 0.588 0.912 1
B14 B 0.500 0.412 0.088 1
B15 B 0.500 0.912 0.412 1
B16 B 0.500 0.088 0.588 1
```



Entry 2:
ThPt3: relaxed, meta-GGA r2SCAN.

Properties
Calculated volume in Å³/cell: 74.99
Calculated formation energy in eV/atom: -1.140
Total moment in μB/cell: 0.00
VASP energy in eV per cell: -232.50

```
data_ThPt3
_chemical_formula_sum 'Th1 Pt3'
_cell_length_a 4.217
_cell_length_b 4.217
_cell_length_c 4.217
_cell_angle_alpha 90.00
_cell_angle_beta 90.00
_cell_angle_gamma 90.00
_space_group_name_H-M_alt 'P 1'
_space_group_IT_number 1
_space_group_name_Hall 'P 1'
loop_
_atom_site_label
_atom_site_type_symbol
_atom_site_fract_x
_atom_site_fract_y
_atom_site_fract_z
_atom_site_occupancy
Th1 Th 0.000 0.000 0.000 1
Pt1 Pt 0.000 0.500 0.500 1
Pt2 Pt 0.500 0.000 0.500 1
Pt3 Pt 0.500 0.500 0.000 1
```



Entry 3:
EuAg2: relaxed, meta-GGA r2SCAN.

Properties
Calculated volume in Å³/cell: 145.93
Calculated formation energy in eV/atom: -0.309
Total moment in μB/cell: 14.30
VASP energy in eV per cell: -164.32

```
data_EuAg2
_chemical_formula_sum 'Eu2 Ag4'
_cell_length_a 4.774
_cell_length_b 6.034
_cell_length_c 6.034
_cell_angle_alpha 76.17
_cell_angle_beta 66.70
_cell_angle_gamma 66.70
_space_group_name_H-M_alt 'P 1'
_space_group_IT_number 1
_space_group_name_Hall 'P 1'
loop_
_atom_site_label
_atom_site_type_symbol
_atom_site_fract_x
_atom_site_fract_y
_atom_site_fract_z
_atom_site_occupancy
Eu1 Eu 0.456 0.294 0.794 1
Eu2 Eu 0.544 0.706 0.206 1
Ag1 Ag 0.837 0.111 0.216 1
Ag2 Ag 0.163 0.889 0.784 1
Ag3 Ag 0.163 0.284 0.389 1
Ag4 Ag 0.837 0.716 0.611 1
```



Entry 4:
LiCr3O8: relaxed, meta-GGA r2SCAN.

Properties
Calculated volume in Å³/cell: 276.25
Calculated formation energy in eV/atom: -2.013
Total moment in μB/cell: 6.00
VASP energy in eV per cell: -239.08

```
data_LiCr3O8
_chemical_formula_sum 'Li2 Cr6 O16'
_cell_length_a 5.454
_cell_length_b 6.180
_cell_length_c 8.196
_cell_angle_alpha 90.00
_cell_angle_beta 90.00
_cell_angle_gamma 90.00
_space_group_name_H-M_alt 'P 1'
_space_group_IT_number 1
_space_group_name_Hall 'P 1'
loop_
_atom_site_label
_atom_site_type_symbol
_atom_site_fract_x
_atom_site_fract_y
_atom_site_fract_z
_atom_site_occupancy
Li1 Li 0.500 0.998 0.500 1
Li2 Li 0.000 0.499 0.000 1
Cr1 Cr 0.000 0.267 0.354 1
Cr2 Cr 0.000 0.733 0.646 1
Cr3 Cr 0.000 0.000 0.000 1
Cr4 Cr 0.500 0.500 0.500 1
Cr5 Cr 0.500 0.767 0.146 1
Cr6 Cr 0.500 0.233 0.854 1
O1 O 0.500 0.550 0.264 1
O2 O 0.000 0.050 0.236 1
O3 O 0.000 0.950 0.764 1
O4 O 0.500 0.450 0.736 1
O5 O 0.500 0.977 0.257 1
O6 O 0.000 0.477 0.243 1
O7 O 0.000 0.523 0.757 1
O8 O 0.500 0.023 0.743 1
O9 O 0.246 0.770 0.028 1
O10 O 0.754 0.770 0.028 1
O11 O 0.746 0.270 0.472 1
O12 O 0.746 0.730 0.528 1
O13 O 0.254 0.270 0.472 1
O14 O 0.254 0.730 0.528 1
O15 O 0.246 0.230 0.972 1
O16 O 0.754 0.230 0.972 1
```



Entry 5:
EuAl12O19: relaxed, meta-GGA r2SCAN.

Properties
Calculated volume in Å³/cell: 589.05
Calculated formation energy in eV/atom: -3.357
Total moment in μB/cell: 14.00